[Exercise]
The reader should write out the whole of the calculation results below word for word.
[File]
{"formula": "C5H7BO2S", "method": "ωB97M-V with the def2-TZVPD basis set", "symbols": ["C", "C", "C", "S", "C", "B", "O", "O", "C", "H", "H", "H", "H", "H", "H", "H"], "coordinates": [[2.09235, -1.77372, 0.08722], [1.15772, -0.67726, 0.46904], [1.34349, 0.21905, 1.48342], [0.09386, 1.38905, 1.42386], [-0.77966, 0.62718, 0.16442], [-2.11462, 1.15429, -0.41003], [-2.04836, 1.85493, -1.60755], [-3.33320, 0.90183, 0.22084], [-0.05283, -0.43240, -0.28700], [2.70520, -2.01528, 0.94223], [1.51691, -2.62948, -0.29970], [2.73360, -1.38061, -0.69232], [2.24907, 0.30074, 2.03816], [-1.23782, 2.01098, -2.13823], [-3.99008, 1.44978, -0.25799], [-0.33562, -0.99908, -1.13639]], "forces_ev_per_angstrom": [[-0.411, 0.242, -0.069], [-0.931, 0.014, -0.444], [-0.645, -0.202, -1.647], [-0.314, 0.429, 0.981], [0.845, -0.188, 0.438], [-0.009, 0.175, -0.526], [-0.619, 0.080, -0.194], [0.820, 1.284, -1.377], [0.893, 0.264, 1.103], [0.219, -0.497, 0.098], [0.496, 0.138, 0.264], [0.291, -0.233, -0.321], [0.180, 0.229, 0.616], [-0.668, -0.477, 1.222], [0.111, -0.580, 0.417], [-0.257, -0.676, -0.561]], "relative_energy_ev": 0.000, "energy_ev": -20907.743, "smiles": "Cc1csc(B(O)O)c1", "homo_ev": -8.7, "fmax_ha_per_bohr": 0.040, "spin_multiplicity": 1, "orbital_gap_ev": 9.20}
[Completed]
{"formula": "C5H7BO2S", "method": "ωB97M-V with the def2-TZVPD basis set", "symbols": ["C", "C", "C", "S", "C", "B", "O", "O", "C", "H", "H", "H", "H", "H", "H", "H"], "coordinates": [[2.09235, -1.77372, 0.08722], [1.15772, -0.67726, 0.46904], [1.34349, 0.21905, 1.48342], [0.09386, 1.38905, 1.42386], [-0.77966, 0.62718, 0.16442], [-2.11462, 1.15429, -0.41003], [-2.04836, 1.85493, -1.60755], [-3.33320, 0.90183, 0.22084], [-0.05283, -0.43240, -0.28700], [2.70520, -2.01528, 0.94223], [1.51691, -2.62948, -0.29970], [2.73360, -1.38061, -0.69232], [2.24907, 0.30074, 2.03816], [-1.23782, 2.01098, -2.13823], [-3.99008, 1.44978, -0.25799], [-0.33562, -0.99908, -1.13639]], "forces_ev_per_angstrom": [[-0.411, 0.242, -0.069], [-0.931, 0.014, -0.444], [-0.645, -0.202, -1.647], [-0.314, 0.429, 0.981], [0.845, -0.188, 0.438], [-0.009, 0.175, -0.526], [-0.619, 0.080, -0.194], [0.820, 1.284, -1.377], [0.893, 0.264, 1.103], [0.219, -0.497, 0.098], [0.496, 0.138, 0.264], [0.291, -0.233, -0.321], [0.180, 0.229, 0.616], [-0.668, -0.477, 1.222], [0.111, -0.580, 0.417], [-0.257, -0.676, -0.561]], "relative_energy_ev": 0.000, "energy_ev": -20907.743, "smiles": "Cc1csc(B(O)O)c1", "homo_ev": -8.7, "fmax_ha_per_bohr": 0.040, "spin_multiplicity": 1, "orbital_gap_ev": 9.20}